jxDBCon 0.9z | ||||||||
Interface Summary | |
LibPQConstants | Constants definition for libpq. |
PGConstants | PGConstants defines constants derived from various places in the PostgreSQL sources |
PGInfoKeys | PGInfoKeys defines the keys used in the connection properties specific to the PostgreSQL frontend. |
PGProtocol | This interface defines the requirements for a protocol implementation that talks to PostgreSQL. |
Class Summary | |
IntConnection | This class implements PGConnection via a special Socket connection. |
IntConnection.Server | |
IntProtocol | The IntProtocol is used by the IntConnection. |
IntProtocol.Query | |
IntProtocol.Response | Abstract base class for the messages sent by the backend. |
IntProtocol.Type | |
LibConnection | This class implements PGConnection via native calls to libPQ. |
LibPQ | A SCCI wrapper for libpq. |
LibProtocol | This class implements PGProtocol via native calls to libPQ. |
LibProtocol$1 | |
NetConnection | This class implements PGConnection via a Socket connection using PostgreSQL's Frontend/Backend network protocol. |
NetProtocol | The NetProtocol encapsulates the common things of the socket based Backend/Frontend protocols. |
NetProtocolV0 | The NetProtocolV0 is the protocol implementation for V0. |
NetProtocolV1 | The PGProtocolV1 is the protocol implementation for V1. |
NetProtocolV1.EmptyResponse | Abstract base class for empty content responses. |
NetProtocolV1.Response | Abstract base class for the messages sent by the backend. |
NetProtocolV2 | The NetProtocolV2 is the protocol implementation for V2. |
NetProtocolV2.ReadyForQuery | Fetch the ready-for-query response. |
NetProtocolV2Async | Asynchronous frontend/backend protocol. |
NetProtocolV2SSL | The NetProtocolV2SSL is the SSL enabled protocol implementation for V2. |
NetProtocolV2SSL.SSLResponse | Fetch the SSL response. |
PGArrayTypes | The array types used in the PostgreSQL database system. |
PGArrayTypes.PGarray | ARRAY of some basetype. |
PGArrayTypes.PGoid8 | ARRAY of oids. |
PGArrayTypes.PGoidvector | ARRAY of oids. |
PGBlob | The PGBlob class implements Blobs. |
PGCallableStatement | The PGCallableStatement implements CallableStatements with PostgreSQL. |
PGConnection | The PGConnection class is the abstract superclass for Connections with PostgreSQL. |
PGConnection$1 | |
PGConnection$2 | |
PGConversionContext | A ConversionContext suitable to describe the data returned by the backend. |
PGCursorResultSet | PGCursorResultSet is a cursor driven ResultSet. |
PGDatabaseMetaData | PGDatabaseMetaData returns the MetaData specific to PostgreSQL. |
Inserted here: calculated crystals:
-- begin --
For Ba2PuN3, a crystal structure in Alexandria, relaxed with GGA-PBE gives the computed powder diffractogram in this record (λ = 1.5418 Å (Cu Kα)).
Lines closer than 0.1° are merged.

Structure:
a = 7.556 Å, b = 7.556 Å, c = 6.049 Å
α = 90.00°, β = 90.00°, γ = 132.03°
Element x y z (fractional)
Ba1 0.100 0.900 0.764
Ba2 0.400 0.600 0.764
Ba3 0.600 0.400 0.236
Ba4 0.900 0.100 0.236
Pu1 0.250 0.750 0.250
Pu2 0.750 0.250 0.750
N1 0.000 0.500 0.000
N2 0.108 0.892 0.268
N3 0.392 0.608 0.268
N4 0.500 0.000 0.000
N5 0.608 0.392 0.732
N6 0.892 0.108 0.732

Top 6 peaks for 10 to 80 degrees two-theta, by angle:
2θ (°)  Rel. int.
28.37  100
29.07  30
29.53  28
41.92  24
51.10  20
51.68  19

For Ba2PuRe2N6, a crystal structure in Alexandria, relaxed with GGA-PBE gives the computed powder diffractogram in this record (λ = 1.5418 Å (Cu Kα)).
Lines closer than 0.1° are merged.

Structure:
a = 6.230 Å, b = 6.230 Å, c = 7.233 Å
α = 118.88°, β = 118.88°, γ = 58.89°
Element x y z (fractional)
Ba1 0.214 0.214 0.188
Ba2 0.786 0.786 0.812
Pu1 0.000 0.000 0.500
Re1 0.457 0.457 0.797
Re2 0.543 0.543 0.203
N1 0.214 0.706 0.240
N2 0.257 0.257 0.646
N3 0.294 0.786 0.760
N4 0.706 0.214 0.240
N5 0.743 0.743 0.354
N6 0.786 0.294 0.760

Top 6 peaks for 10 to 80 degrees two-theta, by angle:
2θ (°)  Rel. int.
19.67  22
26.28  38
28.71  100
29.16  54
29.43  62
51.42  21

For BaPuTcN4, a crystal structure in Alexandria, relaxed with GGA-PBE gives the computed powder diffractogram in this record (λ = 1.5418 Å (Cu Kα)).
Lines closer than 0.1° are merged.

Structure:
a = 5.998 Å, b = 5.875 Å, c = 7.457 Å
α = 90.00°, β = 106.69°, γ = 90.00°
Element x y z (fractional)
Ba1 0.216 0.250 0.426
Ba2 0.784 0.750 0.574
Pu1 0.295 0.250 0.950
Pu2 0.705 0.750 0.050
Tc1 0.245 0.750 0.164
Tc2 0.755 0.250 0.836
N1 0.040 0.750 0.935
N2 0.059 0.750 0.323
N3 0.450 0.507 0.191
N4 0.450 0.993 0.191
N5 0.550 0.007 0.809
N6 0.550 0.493 0.809
N7 0.941 0.250 0.677
N8 0.960 0.250 0.065

Top 6 peaks for 10 to 80 degrees two-theta, by angle:
2θ (°)  Rel. int.
12.39  91
21.63  100
29.26  80
29.58  60
30.43  82
37.35  63

For BaPuThN3, a crystal structure in Alexandria, relaxed with GGA-PBE gives the computed powder diffractogram in this record (λ = 1.5418 Å (Cu Kα)).
Lines closer than 0.1° are merged.

Structure:
a = 7.908 Å, b = 3.825 Å, c = 9.181 Å
α = 90.00°, β = 96.63°, γ = 90.00°
Element x y z (fractional)
Ba1 0.159 0.250 0.154
Ba2 0.841 0.750 0.846
Pu1 0.099 0.250 0.606
Pu2 0.901 0.750 0.394
Th1 0.377 0.750 0.852
Th2 0.623 0.250 0.148
N1 0.151 0.250 0.844
N2 0.221 0.750 0.601
N3 0.423 0.750 0.109
N4 0.577 0.250 0.891
N5 0.779 0.250 0.399
N6 0.849 0.750 0.156

Top 6 peaks for 10 to 80 degrees two-theta, by angle:
2θ (°)  Rel. int.
14.00  100
28.21  84
30.51  76
31.74  31
32.68  79
49.95  27

For RbBaN3, a crystal structure in Alexandria, relaxed with GGA-PBE gives the computed powder diffractogram in this record (λ = 1.5418 Å (Cu Kα)).
Lines closer than 0.1° are merged.

Structure:
-- stop --
PGDatabaseMetaData$1 | |
PGDatabaseMetaData$2 | |
PGDatabaseMetaData$3 | |
PGDatabaseMetaData$4 | |
PGDatabaseMetaDataV6 | PGDatabaseMetaDataV6 returns the MetaData specific to PostgreSQL version 6. |
PGDatabaseMetaDataV7 | PGDatabaseMetaDataV7 returns the MetaData specific to PostgreSQL version 7. |
PGDatabaseMetaDataV71 | PGDatabaseMetaDataV71 returns the MetaData specific to PostgreSQL version 7.1 |
PGDatabaseMetaDataV72 | PGDatabaseMetaDataV72 returns the MetaData specific to PostgreSQL version 7.2 |
PGDataSource | The PGDataSource class is an implementation of the DataSource interface for PostgreSQL. |
PGDateTimeTypes | The date and time types used in the PostgreSQL database system. |
PGDateTimeTypes.PGabstime | TIMESTAMP type with low precision. |
PGDateTimeTypes.PGdate | DATE type. |
PGDateTimeTypes.PGtime | TIME type. |
PGDateTimeTypes.PGtimestamp | TIMESTAMP (with time zone) for versions prior to 7.2. |
PGDateTimeTypes.PGtimestampBase | The base class for timestamp implementations. |
PGDateTimeTypes.PGtimestamptz | TIMESTAMP [WITH TIME ZONE] type as introduced with 7.2. |
PGDateTimeTypes.PGtimestampV6 | In PG 6.5.3 timestamp is merely a wrapper for abstime. |
PGDateTimeTypes.PGtimestampV72 | TIMESTAMP WITHOUT TIME ZONE as introduced with 7.2. |
PGErrors | PGErrors is used to map database error strings to error ids of the driver. |
PGErrors$1 | |
PGErrors$2 | |
PGEscapeFuncs | This class maps the JDBC escape functions to their implementation in PostgreSQL. |
PGEscapeFuncs.pgconcat | |
PGEscapeFuncs.pglocate | |
PGExceptions | . |
PGExecResult | PGExecResult is used internally to store the complete result of a query. |
PGFunc | Wrapper for the information needed to identify/call a PostgreSQL function. |
PGFuncResult | PGFuncResult is used internally to store the result of a function call. |
PGNumericTypes | The numeric types used in the PostgreSQL database system. |
PGNumericTypes.PGfloat4 | 4 byte single precision floating point value. |
PGNumericTypes.PGfloat8 | 8 byte double precision floating point value. |
PGNumericTypes.PGint2 | Signed 2 byte 2's complements integer value. |
PGNumericTypes.PGint4 | Signed 4 byte 2's complements integer value. |
PGNumericTypes.PGint8 | Signed 8 byte 2's complements integer value. |
PGNumericTypes.PGmoney | won't work. |
PGNumericTypes.PGnumeric | NUMERIC type. |
PGPlainResultSet | PGPlainResultSet extends the AbstractRowsResultSet with PostgreSQL functionality. |
PGPreparedStatement | PGPreparedStatement implements PreparedStatement. |
PGResult | PGResult is used internally to store the result of a dialog with PostgreSQL. |
PGRowSetRW | Only works with a XCachedRowSet due to limitations of the RowSetInternal interface. |
PGStatement | PGStatement implements Statement |
PGStructTypes | . |
PGStructTypes.PGbox | Full support. |
PGStructTypes.PGcircle | Full support. |
PGStructTypes.PGline | Not supported by the database. |
PGStructTypes.PGlseg | Full support. |
PGStructTypes.PGpath | Does not work for now, several reasons... |
PGStructTypes.PGpoint | Full support. |
PGStructTypes.PGpolygon | |
PGStructTypes.PGstruct | |
PGStructTypes.PGtimetz | TIME type with time zone information. |
PGStructTypes.PGtinterval | |
PGTextTypes | The text types used in the PostgreSQL database system. |
PGTextTypes.PGbpchar | CHAR() type. |
PGTextTypes.PGchar | CHAR(1) type. |
PGTextTypes.PGname | VARCHAR(32) type. |
PGTextTypes.PGtext | LONGVARCHAR type. |
PGTextTypes.PGvarchar | VARCHAR() type. |
PGTypes | The types used in the PostgreSQL database system. |
PGTypes.DefaultParamType | The default type for unspecified positional parameters. |
PGTypes.PGaclitem | Item in an access control list. |
PGTypes.PGbit | Full support. |
PGTypes.PGbool | One byte boolean type. |
PGTypes.PGbytea | LONGVARBINARY type. |
PGTypes.PGmacaddr | |
PGTypes.PGoid | Unsigned 4 byte 2's complements integer value. |
PGTypes.PGunknown | |
PGTypes.PGvarbit | Full support. |
PGTypes$1 | |
PGUtil | . |
The PostgreSQL driver is a complete implementation of both JDBC's and PostgreSQL's features. The features include:
JDBC features
PostgreSQL features
jxDBCon 0.9z | ||||||||